Imagine a small, sustainable farm in western Maryland, a safe space where black men come together to heal and connect with themselves. They are trained to become certified yoga instructors and are educated and empowered to go out and use what they have learned about the practice of yoga to change and empower their own communities.
Changa Bell acknowledges, with a bit of a chuckle, that the idea might sound a bit “hippie.” But Bell is determined to see it through. He believes in and has witnessed firsthand yoga's transformative power not only over himself but also over the young people he has already started to work with as the founder of the Sunlight & Yoga Holistic Wellness Center and the Black Male Yoga Initiative.
You see, yoga, Bell says, saved his life.
About 14 years ago, the then-30-year-old was well on his way to needing a pacemaker. Inexplicably, his heart would just stop beating while he was midconversation. No one—not doctors or cardiologists—could figure out what was going on.
While at the hospital, after realizing his potential fate, Bell stayed awake for about 30 hours, afraid to go to sleep. He whispered a prayer to God, promising to live a life of dedicated service if he could get through this experience. That same night, his heart monitor went off and the nurse was unable to get a reading. The nurse poked Bell, thinking that he might be dead, and almost screamed out loud when he responded.
Bell, knowing that his path was clear, smiled. He was committed to change.
Inserted here: calculated crystals >
=====
First-principles (SCAN) data for Li5NiP3O11 at its PBEsol-relaxed geometry, as listed in Alexandria.

Cell: 5.1948 8.3601 9.4432 Å, 84.56 89.59 86.61°
Fractional coordinates of all 40 atoms:
1 O 0.9837 0.2240 0.5809
2 Ni 0.5000 0.0000 0.5000
3 P 0.1985 0.2917 0.0166
4 O 0.3278 0.3744 0.1345
5 Li 0.7025 0.3808 0.1746
6 Li 0.4846 0.9822 0.1504
7 O 0.3286 0.5523 0.3610
8 O 0.9179 0.2501 0.0595
9 Ni 0.0000 0.0000 0.0000
10 O 0.0163 0.7760 0.4191
11 O 0.8411 0.4143 0.3813
12 P 0.0120 0.9434 0.3167
13 O 0.7259 0.9957 0.3079
14 O 0.3370 0.1252 0.9952
15 P 0.8015 0.7083 0.9834
16 O 0.5054 0.2368 0.5045
17 O 0.8150 0.9388 0.6237
18 O 0.0821 0.7499 0.9405
19 Li 0.5154 0.0178 0.8496
20 O 0.2741 0.0043 0.6921
21 O 0.6630 0.8748 0.0048
22 P 0.9880 0.0566 0.6833
23 O 0.6714 0.4477 0.6390
24 Li 0.1918 0.6050 0.1603
25 O 0.1329 0.8869 0.1793
26 P 0.7373 0.3387 0.5214
27 Li 0.8082 0.3950 0.8397
28 O 0.6722 0.6256 0.8655
29 O 0.1589 0.5857 0.6187
30 Li 0.2975 0.6192 0.8254
31 Li 0.7038 0.6328 0.3270
32 O 0.1850 0.0612 0.3763
33 Li 0.2222 0.3155 0.3497
34 O 0.4946 0.7632 0.4955
35 O 0.8052 0.6026 0.1275
36 Li 0.7778 0.6845 0.6503
37 Li 0.2962 0.3672 0.6730
38 P 0.2627 0.6613 0.4786
39 O 0.8671 0.1131 0.8207
40 O 0.1948 0.3974 0.8725

Summary:
For the total energy, the calculation gives -8.838 eV per atom. Its crystal system is triclinic. Its space-group type is P-1. The calculation puts the energy relative to the elements, uncorrected at -2445 meV/atom. The value obtained for the density of states at the Fermi level is 0.0 states/eV per cell.

First-principles (SCAN) data for CsNa2Sb2 at its PBEsol-relaxed geometry, as listed in Alexandria.

Cell: 5.3998 5.3998 7.2035 Å, 112.01 112.01 90.00°
Fractional coordinates of all 5 atoms:
1 Na 0.2500 0.7500 0.5000
2 Na 0.7500 0.2500 0.5000
3 Sb 0.3872 0.3872 0.7744
4 Cs 0.0000 0.0000 0.0000
5 Sb 0.6128 0.6128 0.2256

Summary:
The calculation puts the energy above the most stable polymorph in this dataset at 0.0 meV/atom. For the total energy, the calculation gives -24.603 eV per atom. Its crystal system is tetragonal. Its space-group type is I4/mmm. The calculation puts the energy relative to the elements, uncorrected at -451 meV/atom. The value obtained for the density of states at the Fermi level is 3.9 states/eV per cell.

Copy entry 1 word for word.
First-principles (SCAN) data for Li5NiP3O11 at its PBEsol-relaxed geometry, as listed in Alexandria.

Cell: 5.1948 8.3601 9.4432 Å, 84.56 89.59 86.61°
Fractional coordinates of all 40 atoms:
1 O 0.9837 0.2240 0.5809
2 Ni 0.5000 0.0000 0.5000
3 P 0.1985 0.2917 0.0166
4 O 0.3278 0.3744 0.1345
5 Li 0.7025 0.3808 0.1746
6 Li 0.4846 0.9822 0.1504
7 O 0.3286 0.5523 0.3610
8 O 0.9179 0.2501 0.0595
9 Ni 0.0000 0.0000 0.0000
10 O 0.0163 0.7760 0.4191
11 O 0.8411 0.4143 0.3813
12 P 0.0120 0.9434 0.3167
13 O 0.7259 0.9957 0.3079
14 O 0.3370 0.1252 0.9952
15 P 0.8015 0.7083 0.9834
16 O 0.5054 0.2368 0.5045
17 O 0.8150 0.9388 0.6237
18 O 0.0821 0.7499 0.9405
19 Li 0.5154 0.0178 0.8496
=====
Bell started concentrating on a holistic lifestyle. He returned to the roots of yoga, which his dad had modeled for him as a child. He started juicing and eating lots of fruits and vegetables, and quit smoking and drinking.
One day his heart, which at that point still had moments were it stopped, returned to its normal rhythm just as inexplicably as it had changed before. Doctors were in awe.
And now, at the age of 44, Bell is healthier and happier than ever and looking to help the community and black men with the practice that saved him.
“That was the ‘aha’ moment for me,” Bell told The Root. “I want to do this for so many youngish and young men.”
With $10,000 given to him by the “superhero people” of the community-empowering organization Black Male Engagement, Bell officially founded BMYI in November 2015.
“I created the BMYI out of the work that I began to do with foster kids and juvenile offenders. I notice that it was resonating really well with the teenagers, in particular the young men who didn’t really get a space to be vulnerable; never really felt, in their words, that they had a container to be open the way that yoga … allowed them to be,” Bell said. “[Yoga] gives us a tool to really work through these social problems we’re having right now.”
“In addition, I’m 44 and … a lot of people in their 40s are just dying. They will be there one week; the next week they’re just gone from hypertension, heart disease, diabetes,” Bell added. “So I wanted to respond with yoga because it saved my life in terms of having me make a complete 180.”
Bell’s dream soon expanded to include “the Om Space,” a place of spiritual retreat modeled after the Indian ashram. The small farm in western Maryland would be the perfect spot.
“[I thought], what if I could make them yoga teachers, give them the status of being an RYT-200 and remove them from their circumstances completely for a month, three months, six months, however much I can get funding for,” Bell said. “Maybe board them—up to 10 people—in an ashramlike setting, and when they leave, the theory is … that we change people, return them to their communities: Each one teach one.”
Bell is really targeting two demographics: 1) the 40-plus-year-old family man who is “knee-deep in bills and responsibility and has no idea what the word ‘self-care’ means and 2) “troubled” youths between the ages of 14 and 18.
“If I can catch them at that time … if I can get in and sort of interweave into their moral fiber the principles of yoga and mindfulness, then I think I would have succeeded in creating an antibody for the way things are now,” he said of the teens.
Bell has started a GoFundMe page in order to make this vision a reality and to obtain a down payment for a mortgage to acquire the location for Om Space, about 15 to 30 minutes outside of Baltimore.
“I want it to be a retreat space for peace. Peace of mind so that [black men and boys] can reset and rebuild their character,” he said.
Breanna Edwards is news editor at The Root. Follow her on Twitter.